

How I learned witchcraft

Initiated to witchcraft

I am struggling a lot in life and it's because of all the dark things I have done in my life. I am today very old and can't write but I have asked my social worker to share my story with anyone who cares to listen. 

I got married at a very early age of 17. My parents married me away to a man they too never met. Lobola was paid and I moved in with the family. We were told that the man I am married to worked at a mine in Rustenburg. 

When I got to my inlaws they told me that my husband will come home as soon as he is off at work, which might be in the next three months. I was a child so I was okay with everything I was told. I stayed there without knowing the face of the man I was married to. 

One day my mother in law called me to her room and asked me to be up at midnight and join her in this other roundavel room that was always locked. She said it was time for me to be introduced to their elders. I didn't think much of it but just found it weird that I am meeting the elders at midnight. 

Midnight came and I peepeed outside the window to see if they were really at the roundavel and the minutes I peepeed outside, I locked us with my mother in law. She was right at my window and she called me by hand. 

She honestly gave me a freight of my life but I braved up and walked outside. When I got to the door she pointed at my shoes so I take them off. I took them off and entered. The only face I could recognize was that of my mother in law. 

Everyone else was new to me. It was only old people and they did not have clothes on. They were facing down as if they were hiding their faces. I was signed to take off my clothes as everyone else were not dressed. 

I was confused and scared but I did as I was told. There was fire in the room which everyone was sitting around with their face down and on their knees. They spoke in turns but not looking anywhere but down. They also spoke very slowly as if they were reading from somewhere. 

They were freaking me out, I felt tears filling my eyes and one of them spoke in a deep voice. I was told to not cry or I will suffer, I was ordered to dry my tears immediately. Then they all spoke at once "whatever happens here remains here" then a drum started playing from a distant. 

It was getting close and closer, I was told to look down and not close my eyes. I did as I was told and my heart was racing very fast. They all stood up at once as the drum got closer, after a while they sat back down and said we welcome you our queen. 

The room temperature was now different, the vision too was different, I couldn't see well everything was now blurry as if my eyes was filled with tears. I was ordered to stand up. When I stood up it felt like I was standing in water. My body was heavy on me. 

One elder stood up, went outside and came back with a black chicken. They slaughtered it in my presence and they poured its bl**d in a cup. They then threw it in a bathing dish full of water and what looked like dry leaves. 

I was ordered to get in the bath, I wanted to run and scream so much but it was like something was holding me back. I started crying silently. I went into the bath and they poured black ashes all over me. Two elders got up and started bathing me. 

They were speaking a language I couldn't understand while bathing me. They used the chicken to hit me on the head 5 times and suddenly I was calm and no longer scared. 

They used eggs as well in the water. When I was done I was given the chicken bl**d to drink. I drank and they all stood up and started dancing. The drum started playing and it was getting less louder until it dissappeared. 

I was then ordered to go back to my room as I was. Next thing I woke up was morning. I had a black cross on my forehead and at the back of my hands and under my feet. If it wasn't for those I'd think it was all a dream. 

I went outside and mamazala acted as if nothing happened and she was a lot happier that morning. She didn't even want me doing my koti duties. She kept saying my husband is ready to come home.

I was happy to hear that because I've been waiting to meet him. She said he was coming back on the 13th day. It was far but I was patient, I kept counting down the days. On no the 13th day I was told to sleep undressed and make sure all mirrors are covered and that all lights are off. 

That made me uncomfortable but It was like something was forcing me to be obedient. Whatever they said goes. He was said to arrive late at night. 

I slept very excited, I waited for him. I checked the time and it was around 3am and I could feel myself slowly slipping into sleep. It was like I had taken sleeping tablets.

I heard him open the door but I couldn't open my eyes. I had him sit on the bed beside me and I felt him touch me. My body communicated well with him but I could hardly open my eyes.

One thing led to another and it was amazing. He then whispered that he loved me and he will take care of me. I then dozed off. In the morning when I woke up he was not there. I looked around the room and it didn't even look like he was ever there. 

But I had a memory of him last night and how everything happened. I went outside hoping to find him there. I asked his mom if he ever came back and she said yes he is back he just went to greet his relatives. 

~~~
Entry from the Materials Project: a geometry-optimized Li9Mn7O16 structure (GGA+U).

a b c (Å): 5.833 6.013 10.107
angles (deg): 87.16 73.35 61.62
Space group P-1 (No. 2)
One atom of each set of equivalent atoms:
Li (0.000, 0.000, 0.000) x1
Li (0.000, 0.000, 0.500) x1
Li (0.000, 0.500, 0.000) x1
Li (0.005, 0.745, 0.751) x2
Li (0.495, 0.256, 0.754) x2
Li (0.500, 0.000, 0.000) x1
Li (0.500, 0.500, 0.500) x1
Mn (0.000, 0.500, 0.500) x1
Mn (0.005, 0.745, 0.245) x2
Mn (0.488, 0.763, 0.755) x2
Mn (0.500, 0.000, 0.500) x1
Mn (0.500, 0.500, 0.000) x1
O (0.222, 0.384, 0.626) x2
O (0.240, 0.609, 0.370) x2
O (0.246, 0.115, 0.862) x2
O (0.267, 0.824, 0.117) x2
O (0.270, 0.869, 0.622) x2
O (0.275, 0.624, 0.874) x2
O (0.278, 0.117, 0.372) x2
O (0.282, 0.359, 0.117) x2

Summary:
E_tot, eV/atom: -6.44

* * * * *

# 1
VASP calculation (PBE) on crystalline K3PrI6 at its relaxed geometry.

Calculated values
Energy relative to the elements ... -1604 meV per atom
Total energy ... -3.102 eV/atom

abc: 9.1672 9.1672 9.1672
angles: 60.00 60.00 60.00
With the nearest neighbours (Å) after each atom.
Sites, in units of the cell vectors:
K1 0.0000 0.0000 0.0000  6 I 3.36
K2 0.2500 0.2500 0.2500  12 I 4.59
K3 0.7500 0.7500 0.7500  12 I 4.59
Pr1 0.5000 0.5000 0.5000  6 I 3.12
I1 0.2592 0.2592 0.7408  1 Pr 3.12, 1 K 3.36
I2 0.2592 0.7408 0.2592  1 Pr 3.12, 1 K 3.36
I3 0.2592 0.7408 0.7408  1 Pr 3.12, 1 K 3.36
I4 0.7408 0.2592 0.2592  1 Pr 3.12, 1 K 3.36
I5 0.7408 0.2592 0.7408  1 Pr 3.12, 1 K 3.36
I6 0.7408 0.7408 0.2592  1 Pr 3.12, 1 K 3.36


# 2
VASP calculation (PBE) on crystalline K2RbPrI6 at its relaxed geometry.

Calculated values
Energy relative to the elements ... -1592 meV per atom
Total energy ... -3.077 eV/atom

abc: 9.3329 9.3329 9.3329
angles: 60.00 60.00 60.00
With the nearest neighbours (Å) after each atom.
Sites, in units of the cell vectors:
K1 0.2500 0.2500 0.2500  12 I 4.67
K2 0.7500 0.7500 0.7500  12 I 4.67
Rb1 0.0000 0.0000 0.0000  6 I 3.48
Pr1 0.5000 0.5000 0.5000  6 I 3.12
I1 0.2634 0.2634 0.7366  1 Pr 3.12, 1 Rb 3.48
I2 0.2634 0.7366 0.2634  1 Pr 3.12, 1 Rb 3.48
I3 0.2634 0.7366 0.7366  1 Pr 3.12, 1 Rb 3.48
I4 0.7366 0.2634 0.2634  1 Pr 3.12, 1 Rb 3.48
I5 0.7366 0.2634 0.7366  1 Pr 3.12, 1 Rb 3.48
I6 0.7366 0.7366 0.2634  1 Pr 3.12, 1 Rb 3.48


# 3
VASP calculation (PBE) on crystalline K2PtI5 at its relaxed geometry.

Calculated values
Energy relative to the elements ... -1023 meV per atom
Total energy ... -2.776 eV/atom

abc: 7.9066 7.9066 11.5250
angles: 90.00 90.00 71.26
With the nearest neighbours (Å) after each atom.
Sites, in units of the cell vectors:
K1 0.0358 0.5773 0.7500  7 I 3.63-3.82
K2 0.4227 0.9642 0.7500  7 I 3.63-3.82
K3 0.5773 0.0358 0.2500  7 I 3.63-3.82
K4 0.9642 0.4227 0.2500  7 I 3.63-3.82
Pt1 0.5000 0.5000 0.0000  6 I 2.69-2.90
Pt2 0.5000 0.5000 0.5000  6 I 2.69-2.90
I1 0.2076 0.7924 0.5214  1 Pt 2.71
I2 0.2076 0.7924 0.9786  1 Pt 2.71
I3 0.2909 0.2909 0.0000  1 Pt 2.69
I4 0.2909 0.2909 0.5000  1 Pt 2.69
~~~

I was so happy to hear that he is back. I was looking forward to seeing him back plus last night was too dark I couldn't see him. It was getting dark and I was told that he will soon be home. I was told to dish up for him and put the food in our bedroom. 

I did as I was told. I stayed in bed waiting for him. And again I heard him when he opened the door, I heard him when he ate his food. I felt him when he touched me. And everything was again amazing, we were intimate and it was more amazing than the previous night. 

In the morning he was gone again. The food was eaten too. His mom said he had gone to town and this time I was sad because it felt like he was avoiding me. I was also starting to get worried. 

My story is very long but to cut it short, I am today old and I have never seen the man I married and gotten intimate with everytime he got his off days. 

I've fallen pregnant 12 times and got miscarriages. If the clinic never confirmed my pregnancies I'd believe that he never existed. I have no children to this day.